As a landlord, it’s good to have the added protection of insurance, even though you hopefully won’t need to use it.
But what are the most common claims that landlords around the UK make, and how can you avoid them?
Our Claims team shares the most common landlord insurance claims below.
The most common types of landlord insurance claims
1. Accidental damage
One of the most common types of claim we see is for accidental damage.
Some examples of this include:
- spilling a glass of wine on the carpet
- accidentally hitting a pipe during DIY work
- a football smashing your window
Accidental damage is a home and landlord insurance add-on that can be added to your policy and covers you for accidents in your property.
It’s important to note that this doesn’t cover damage to tenants’ belongings. If they want to protect their own belongings, they’ll need to take out renter’s insurance.
2. Storm damage
Extreme weather like storms can damage both the inside and outside of a property, and we often see claims for this type of damage during storm season.
We define a storm as:
- wind with gusts of at least 55mph
- heavy rainfall at a rate of at least 25mm per hour
- snow to a depth of at least 30cm in 24 hours
- hail that causes damage to hard surfaces or breaks glass
We often see claims for broken windows and damaged roofing, with the damage ranging from minor to severe.
3. Escape of water
Escape of water is what happens when water in a building ends up where it shouldn’t be. This could be caused by a burst pipe or blocked guttering, for example.
Escape of water claims tend to be more frequent in the winter, as freezing weather is usually the top cause of burst pipes.
4. Fire damage
Whether it’s from an electrical fault or an overheating tumble dryer, fires can be catastrophic to your property.
At-home fires are also very common, so it’s no surprise that one of the top claims for landlord insurance is for fire damage.
5. Theft
(Quantum chemistry results from another source follow)
........
(w)
DFT (ωB97M-V with the def2-TZVPD basis set) results for C2H6O6RbS as an isolated structure.

Output
frontier orbital gap = 2.75 eV
E_HOMO = 2.33 eV
LUMO = 5.08 eV
charge = -3

Each line ends with the natural charge from an NBO analysis.
Cartesian coordinates (Å):
Rb  20.277  -4.147  18.327  0.979
C  24.346  -5.861  14.215  -0.225
O  23.897  -6.358  15.450  -0.981
H  23.716  -5.954  13.330  0.069
H  24.619  -4.812  14.103  0.072
H  25.194  -6.405  13.800  0.073
C  22.329  -0.307  22.850  -0.231
O  21.953  -1.627  22.485  -0.992
H  22.202  -0.126  23.917  0.080
H  23.367  0.003  22.731  0.071
H  21.756  0.462  22.333  0.080
S  16.606  -7.189  20.287  2.623
O  17.587  -7.350  21.328  -1.136
O  15.376  -7.919  20.517  -1.118
O  16.449  -5.768  19.963  -1.176
O  17.257  -7.618  19.085  -1.189


(x)
DFT (ωB97M-V with the def2-TZVPD basis set) results for C2H6O6RbS as an isolated structure.

Output
frontier orbital gap = 3.65 eV
E_HOMO = 2.66 eV
LUMO = 6.31 eV
charge = -3

Each line ends with the Löwdin charge.
Cartesian coordinates (Å):
Rb  -0.331  0.401  0.207  0.918
C  -2.104  -1.750  -2.084  -0.438
O  -1.419  -2.160  -0.880  -0.556
H  -2.510  -0.738  -2.088  0.008
H  -1.279  -1.687  -2.793  0.016
H  -2.825  -2.509  -2.389  0.010
C  3.239  0.743  -1.521  -0.494
O  2.461  0.304  -0.476  -0.519
H  3.034  0.147  -2.411  0.020
H  2.956  1.754  -1.816  0.009
H  4.315  0.849  -1.378  0.008
S  -1.095  0.966  3.553  0.029
O  -1.724  1.933  2.634  -0.525
O  0.329  1.164  3.767  -0.459
O  -1.847  0.909  4.800  -0.481
O  -1.202  -0.326  2.875  -0.548


What should be chosen as the most stable of them? Choose (x).


(w)
DFT (ωB97M-V with the def2-TZVPD basis set) results for a 2-piece molecular cluster, C3H8O4 overall.

Output
frontier orbital gap = 11.06 eV
E_HOMO = -10.56 eV
LUMO = 0.50 eV
structure (SMILES) = O=C(O)CCO.O

Each line ends with the natural charge from an NBO analysis.
Cartesian coordinates (Å):
O  -0.931  -1.207  0.679  -0.586
C  -0.465  -0.117  0.555  0.806
O  -0.438  0.752  1.633  -0.717
C  0.030  0.503  -0.722  -0.559
C  0.855  1.846  -0.704  -0.049
O  0.190  2.886  0.014  -0.725
H  -1.137  0.395  2.201  0.498
H  0.745  -0.234  -1.103  0.251
H  -0.833  0.707  -1.361  0.249
H  1.882  1.633  -0.436  0.168
H  0.768  2.173  -1.730  0.181
H  -0.388  2.500  0.659  0.481
H  0.267  -4.623  0.112  0.458
H  -0.473  -3.393  0.486  0.479
O  -0.072  -3.821  -0.282  -0.936


(x)
DFT (ωB97M-V with the def2-TZVPD basis set) results for one molecule with the formula C3H8O4.

Output
frontier orbital gap = 10.20 eV
E_HOMO = -9.62 eV
LUMO = 0.59 eV
structure (SMILES) = C[C@@H](O)C(O)(O)O

Each line ends with the natural charge from an NBO analysis.
Cartesian coordinates (Å):
C  1.633  -0.684  0.091  -0.623
C  0.578  0.463  0.366  0.082
C  -0.876  -0.102  -0.060  0.706
O  1.016  1.532  -0.446  -0.731
O  -1.734  0.728  0.670  -0.736
O  -1.080  -0.071  -1.416  -0.721
O  -0.941  -1.383  0.453  -0.729
H  1.249  -1.084  -0.775  0.203
........
Unfortunately, theft isn’t uncommon. Landlord insurance can protect you against the theft of your belongings in the rented property by others or even your tenants.
These molecular data were left in the entry by mistake.
........
Here is a cluster of 9 separate species, C37H55F8N3O11 in total in a non-equilibrium geometry from the Open Molecules 2025 dataset. Energies are from ωB97M-V with the def2-TZVPD basis set.

Each line ends with the Löwdin spin population.
Atoms and positions in Å:
C1 22.73705 11.83635 7.60417  0.00
C2 21.67755 11.14703 6.73585  0.00
C3 22.03402 9.73947 6.16783  0.00
F1 21.03014 9.12392 5.71049  0.00
F2 22.94419 9.89914 5.25403  0.00
F3 20.66417 11.18921 7.54934  0.00
F4 21.36903 11.88391 5.71490  0.00
O1 23.06968 11.12779 8.77830  0.00
C4 22.88648 11.76456 10.07863  0.00
C5 24.11628 12.61749 10.36908  0.00
F5 24.36237 13.51332 9.42748  0.00
F6 24.26738 13.25316 11.59761  0.00
F7 21.81698 12.48638 10.15984  0.00
F8 22.80395 10.83921 10.90246  0.00
H1 22.46444 12.84616 7.91087  0.00
H2 23.55402 12.02373 6.90734  0.00
H3 22.41820 9.02039 6.89132  0.00
H4 25.02114 12.01995 10.25820  0.00
O2 19.91684 4.43372 12.66714  0.00
C6 19.16557 4.86759 13.51967  0.00
O3 18.27870 4.06357 14.09848  0.00
C7 17.34913 4.71678 14.99938  0.00
C8 18.20483 5.80869 15.45663  0.00
C9 19.08887 6.23108 14.21107  0.00
H5 17.06086 4.11610 15.86204  0.00
H6 16.47009 5.08944 14.47354  0.00
H7 18.72711 5.67640 16.40416  0.00
H8 17.57076 6.66788 15.67538  0.00
H9 20.10260 6.52790 14.48004  0.00
H10 18.67129 6.99339 13.55334  0.00
O4 16.73127 9.83483 10.47161  0.00
C10 16.82322 10.83673 9.83055  0.00
O5 16.49558 10.90644 8.51194  0.00
C11 16.76335 12.18994 7.99356  0.00
C12 17.93228 12.70564 8.89588  0.00
C13 17.43651 12.18183 10.28976  0.00
H11 15.89355 12.82623 8.15689  0.00
H12 16.97059 12.22808 6.92412  0.00
H13 18.02145 13.77846 8.72499  0.00
H14 18.86543 12.19534 8.65731  0.00
H15 16.71488 12.82342 10.79544  0.00
H16 18.30003 12.14765 10.95403  0.00
O6 15.94717 5.83529 12.35798  0.00
C14 15.56444 5.81109 11.21982  0.00
O7 16.20043 5.21334 10.09025  0.00
C15 15.47833 5.35820 8.89138  0.00
C16 14.45677 6.42201 9.12386  0.00
C17 14.23691 6.41583 10.73420  0.00
H17 14.89071 4.50476 8.55308  0.00
H18 16.14436 5.57362 8.05586  0.00
H19 13.49866 6.47741 8.60707  0.00
H20 14.82813 7.42454 8.91146  0.00
H21 13.44303 5.70704 10.96973  0.00
H22 13.95069 7.37345 11.16911  0.00
O8 20.35031 6.70188 2.40099  0.72
C18 19.42325 6.38072 3.10903  0.09
O9 18.71904 5.20647 3.06739  0.07
C19 17.67792 5.11433 4.03529  0.01
C20 17.50504 6.59019 4.39471  0.03
C21 18.84018 7.21255 4.14686  0.08
H23 18.04306 4.57568 4.90972  0.00
H24 16.69173 4.73264 3.77100  0.00
H25 17.18576 6.68080 5.43296  0.01
H26 16.70152 6.93451 3.74364  0.00
H27 19.30806 7.08691 5.12328  0.00
H28 18.95457 8.27187 3.91692  0.00
O10 16.50675 13.44006 13.30051  0.00
C22 17.11028 12.37075 13.64088  0.00
O11 18.43210 12.41064 14.10555  0.00
C23 18.70233 11.03569 14.62909  0.00
C24 17.65689 10.11659 14.04051  0.00
C25 16.47040 11.07171 13.88847  0.00
H29 18.70720 11.14094 15.71398  0.00
H30 19.64286 10.68312 14.20578  0.00
H31 17.53121 9.25135 14.69141  0.00
H32 17.93553 9.72596 13.06181  0.00
H33 15.88537 11.01152 14.80619  0.00
........
End of the molecular data.
Our landlord insurance doesn’t cover theft by tenants as standard, but this can be added onto your landlord insurance policy.
We also offer landlord legal protection for legal issues between you and your tenant.
Other common landlord claims
Other common claims that landlords make are for loss of rent and malicious damage.
Malicious damage is covered as standard by Admiral’s Landlord Insurance, but malicious damage by the tenant would need to be added to the policy.
Helping you to avoid landlord insurance claims
It may be impossible to protect yourself from all of these things, but the best way to avoid needing to make a claim is to keep your property in good shape all year round.
Regular maintenance and check-ins on things like the boiler, electrics and even the roof mean you’ll hopefully be able to catch any issues as early as possible.
Protecting yourself with landlord insurance
Attached: records of molecules:
-- begin --
72
Properties=species:S:1:pos:R:3:mulliken_charge:R:1 method="wB97M-V/def2-TZVPD" e_above_lowest_kj_mol=660.2 charge=-1 e_homo_ev="-1.1 / -1.1" multiplicity=8 homo_lumo_gap_ev="3.479 / 3.503"
O -0.5510 0.5946 -2.8218 -0.41
C -1.3282 1.3933 -3.3871 -0.64
C -0.9030 2.0425 -4.6532 0.68
C 0.3288 2.7202 -4.7377 -0.39
H 0.8268 2.9827 -3.7984 0.45
C 0.8267 3.0800 -5.9918 -0.52
H 1.7795 3.6082 -6.0511 0.34
C 0.1128 2.7670 -7.1554 -0.47
H 0.5814 2.9339 -8.1316 0.33
C -1.1648 2.1832 -7.0627 -0.44
H -1.7447 1.9819 -7.9655 0.34
C -1.6810 1.8431 -5.8116 -0.46
H -2.6976 1.4581 -5.6854 0.32
H -2.4673 1.2524 -3.2594 0.25
C -3.0370 3.7306 -2.3008 -1.06
C -2.8806 2.2902 -2.0064 0.27
H -3.7786 4.2317 -1.6333 0.37
H -3.4251 3.8788 -3.3273 0.25
H -2.0629 4.2767 -2.2569 0.21
C -3.0225 1.3822 -1.0461 0.05
C -3.5943 1.4027 0.3623 -1.07
H -2.6431 0.3744 -1.2585 0.10
H -4.4022 2.1331 0.5037 0.35
H -2.7994 1.5582 1.1054 0.10
H -3.9610 0.3859 0.5502 0.31
Eu 0.9241 -1.1006 -2.0618 0.99
Cl 1.5604 0.6604 -0.0647 -0.66
Cl 0.6360 -2.7288 -4.1001 -0.70
H 4.8370 1.2739 -3.3710 0.34
H 5.6658 1.5486 -1.3510 0.28
C 4.0472 0.5495 -3.1281 -1.12
C 4.9394 0.9185 -0.8293 -0.87
N 4.3725 -0.0020 -1.8104 0.32
H 4.0222 -0.2276 -3.8956 0.33
C 4.0190 -1.2383 -1.4554 0.10
O 3.1578 -1.9032 -2.0676 -0.64
H 5.4176 0.3315 -0.0411 0.28
H 4.5429 -1.6055 -0.5633 0.34
H 3.0755 1.0604 -3.1418 0.43
H 4.1324 1.5144 -0.3786 0.30
H -1.3403 -5.3083 1.5403 0.29
H -1.1003 -6.8652 -0.7151 0.32
C -1.7510 -4.5683 0.8391 -0.76
C -1.4396 -5.9712 -1.2499 -0.87
N -1.1729 -4.7416 -0.4994 0.23
H -1.4777 -3.5646 1.1817 0.13
C -0.3851 -3.7996 -1.0189 0.41
O -0.2026 -2.6479 -0.5216 -0.58
H -0.8912 -5.9039 -2.1958 0.28
H 0.1170 -4.0444 -1.9735 0.06
H -2.8456 -4.6657 0.8180 0.31
H -2.5030 -6.0941 -1.4715 0.31
C 0.5458 -1.6490 2.7789 -0.98
P 1.5040 -0.1249 3.2272 0.25
C 0.1701 1.1258 2.9701 -1.13
C 1.4349 -0.2626 5.0657 0.19
C 2.6337 -0.6990 5.6728 -0.58
C 2.6922 -0.9061 7.0520 -0.42
C 1.5449 -0.7057 7.8302 -0.41
C 0.3744 -0.2102 7.2482 -0.55
C 0.3150 0.0087 5.8688 -0.07
H -0.5288 -1.4526 2.8969 0.36
H 0.8597 -2.4655 3.4451 0.48
H 0.7647 -1.9064 1.7307 0.11
H 0.1853 1.8635 3.7821 0.48
H 0.4221 1.6026 2.0122 0.37
H -0.8097 0.6316 2.8825 0.12
H 3.5170 -0.8874 5.0532 0.30
H 3.6342 -1.2273 7.5069 0.35
H 1.5704 -0.9302 8.8947 0.34
H -0.5015 0.0108 7.8616 0.35
H -0.6099 0.3772 5.4218 0.35
-- stop --
End of the records of molecules:
If you're renting out one or more properties, landlord insurance could be very useful.
Storms, electrical faults and even tenants can cause damage to your rental property, which can result in a large bill that you have to foot.
With landlord insurance, you can protect yourself against unexpected costs and get support with arranging repairs.
We have three types of landlord insurance for you to choose from based on your needs and budget: Admiral, Gold and Platinum.
Landlord emergency cover
Our landlord emergency cover add-on protects you if you have an emergency at your rental property. With this cover, you can access our 24/7 emergency helpline if you need support for an emergency, such as:
- a broken boiler
- a leaking toilet
- broken windows and doors
- burst water or gas pipes
This add-on covers you for temporary repairs at your rental property. Please get in touch with us to learn more.